Newspeak is Retarded

I have a big fat mushy soft spot for anyone who didn’t get a fair shake in life. I’m especially protective of the mentally disabled. I grew up with a family who had a kid with Down’s syndrome, and I learned that having Down’s doesn’t make you stupid, unproductive, nor does it mean that you can’t be “one of the guys.” This guy was the middle child. For most of our youth, his two “normal” brothers were unemployed, lived with their mom, and didn’t have jobs. The one with Down’s had a girlfriend, an apartment of his own, and was gainfully employed. Some people with Downs are downright smart, witty, and a hell of a lot of fun to be around (not to mention, this particular guy could drink me under the table).

I’m down with the Down’s.

I absolutely adore the Special Olympics. That organization is one of the most well-meaning, make-the-world-a-better-place collections of souls that the world has ever seen. They even have a sense of humor, as they not only endorsed, but helped in a technical advisory way to make the movie, The Ringer, with Johnny Knoxville.

But, today, I must give the finger to the Special Olympics and their campaign to try and stop people from using “the r-word.” (retarded) To their credit, nobody is talking about legislation. They are throwing their view out into the marketplace of ideas and hoping that someone buys it. I’m throwing mine out there too. The Special Olympics’ attempt to get us to purge this word from the vernacular is, in the words of my people, wicked fahkin’ retaahded. (subtitle: Wicked. Fucking. Retarded.)

Don’t get me wrong. I accept any group’s wishes when they say “don’t call me that.” African Americans seem to change their name every 20 years. Once “negro,” was the term of choice… then it changed to “colored.” (Hence the National Association for the Advancement of Colored People or NAACP). When I was in high school, it turned to “black,.” When I was a freshman in college, I was informed that the proper terminology was Afro-American. By the time I graduated, it was “African American.” It seems to be back to “black” again. That doesn’t bother me. If I wake up tomorrow and there is an announcement from the NAACP that they prefer to be called “The Knights Who Say Nee,” I’ll respect the decision and call them that until they change their mind again.

The same goes for the “developmentally disabled.” As long as it doesn’t get Orwellian (I’m never using “handi-capable”), they can be whatever they want. In fact, I think it is sort of uncool to lump all “handicapped” people under one label. I think it is far more respectful to refer to the actual individual condition that affects the person (if it is relevant at all to the conversation), and that’s why I agree that referring to someone who is “developmentally disabled” as “retarded” is disrespectful and uncool.

So we agree, don’t call anyone with Down’s a “retard.”

But, that doesn’t mean that we need to cleanse the language of all uses of the word. I love the word “retard.” “Retard” is a completely accurate way to describe Marion Barry, Rhonda Storms, George W. Bush, Gail Dines, Larry Craig, Andrea Dworkin, and Kevin Federline. It is not the right thing to call Corky. Allow me to demonstrate where the line is drawn:

Sarah Palin’s son, Trig, is retarded: Formerly correct, now incorrect
Sarah Palin’s son, Trig, is a retard: Incorrect
Trig Palin has Down’s sydrome: Correct
Sarah Palin is a fucking retard: Correct

I’m sick of P.C. police trying to strip the language of words that are, well, colorful — even if they can be nasty and mean if used that way. On one hand, it makes the language just a little more grey. On the other hand, it counter-productively adds power to the negativity. As Lenny Bruce said:

it’s the suppression of the word that gives it the power, the violence, the viciousness. Dig: if President Kennedy would just go on television, and say, “I would like to introduce you to all the niggers in my cabinet,” and if he’d just say “nigger nigger nigger nigger nigger” to every nigger he saw, “boogie boogie boogie boogie boogie,” “nigger nigger nigger nigger nigger” ’til nigger didn’t mean anything anymore, then you could never make some six-year-old black kid cry because somebody called him a nigger at school.

These efforts to create a politically and socially correct “Newspeak,” have always pissed me off. In the Appendix to 1984, Orwell wrote:

The purpose of Newspeak was not only to provide a medium of expression for the world-view and mental habits proper to the devotees of Ingsoc, but to make all other modes of thought impossible. It was intended that when Newspeak had been adopted once and for all and Oldspeak forgotten, a heretical thought—that is, a thought diverging from the principles of Ingsoc—should be literally unthinkable, at least so far as thought is dependent on words. (source)

redneckI understand that the developmentally disabled have a problem gaining the respect they deserve. I feel for them and I wouldn’t stand by as anyone abused or mocked the developmentally disabled. However, if the Special Olympics thinks that I’m prepared to let them start taking words out of common usage, because those words facilitate what they consider to be “bad thoughts,” then they really are a bunch of ‘tards.

This kind of thing gives critical crybaby theorists and every other kind of “victim studies” blowhard a raging boner. But, for those of us who actually contribute anything to society, all it does is get us to a place where the message gets lost in endless quibbling over words. The Newspeak police are so damned hypersensitive that innocent use of the word “niggardly,” a word derived from Old Norse (which means “cheap” or “miserly” can create a national freak out, and even “Water Buffalo” (a Hebrew translation) can be perceived as racist, thus labeling the user as a thinker of racist thoughts, ergo someone who needs re-education sensitivity training.

“Retarded” no longer means “developmentally disabled.” Therefore, the developmentally disabled don’t get to own the word anymore.

And if they do, then I want the guinea pig and the nation of New Guinea to be renamed. Italian pride demands it.

17 Responses to Newspeak is Retarded

Data records, kept here for reference.
- - -
(1)
A plane-wave DFT calculation with PBE was carried out for Tb4Er3Mg2 after structural relaxation.

Computed properties:
Formation energy from the elements, meV/atom: 8
Crystal system: monoclinic

abc: 7.791 7.791 7.756
angles: 107.65 107.65 36.86
Atoms (fractional coordinates):
Tb 0.055 0.055 0.333
Tb 0.278 0.278 0.670
Tb 0.722 0.722 0.330
Tb 0.945 0.945 0.667
Er 0.389 0.389 0.333
Er 0.500 0.500 0.000
Er 0.611 0.611 0.667
Mg 0.169 0.169 0.999
Mg 0.831 0.831 0.001

(2)
A plane-wave DFT calculation with PBE was carried out for TaReAg after structural relaxation.

Computed properties:
Formation energy from the elements, meV/atom: 286
Crystal system: orthorhombic

abc: 7.291 7.129 2.771
angles: 82.23 75.65 22.12
Atoms (fractional coordinates):
Ta 0.000 0.000 0.000
Re 0.346 0.346 0.654
Ag 0.674 0.674 0.326

(3)
A plane-wave DFT calculation with PBE was carried out for Ba2NpN4 after structural relaxation.

Computed properties:
Formation energy from raw total energies, eV per atom: -0.79
Crystal system: tetragonal

abc: 7.458 7.458 7.458
angles: 145.73 145.73 49.24
Atoms (fractional coordinates):
Ba 0.144 0.144 0.000
Ba 0.856 0.856 0.000
Np 0.500 0.500 0.000
N 0.000 0.500 0.500
N 0.356 0.356 0.000
N 0.500 0.000 0.500
N 0.644 0.644 0.000

(4)
A plane-wave DFT calculation with PBE was carried out for SrLaCu2Bi after structural relaxation.

Computed properties:
Formation energy from the elements, meV/atom: 494
Crystal system: tetragonal

abc: 5.153 5.153 6.100
angles: 90.00 90.00 90.00
Atoms (fractional coordinates):
Sr 0.000 0.000 0.000
La 0.500 0.500 0.000
Cu 0.000 0.500 0.500
Cu 0.500 0.000 0.500
Bi 0.000 0.000 0.500

(5)
A plane-wave DFT calculation with PBE was carried out for HoHf2Tl after structural relaxation.

Computed properties:
Formation energy from the elements, meV/atom: 397
Crystal system: trigonal

abc: 11.728 11.728 11.728
angles: 15.52 15.52 15.52
Atoms (fractional coordinates):
Ho 0.000 0.000 0.000
Hf 0.091 0.091 0.091
Hf 0.909 0.909 0.909
Tl 0.500 0.500 0.500

(6)
A plane-wave DFT calculation with PBE was carried out for Sr5Al after structural relaxation.

Computed properties:
Formation energy from the elements, meV/atom: 104
Crystal system: hexagonal

abc: 7.029 7.029 6.281
angles: 90.00 90.00 120.00
Atoms (fractional coordinates):
Sr 0.000 0.694 0.000
Sr 0.306 0.306 0.000
Sr 0.333 0.667 0.500
Sr 0.667 0.333 0.500
Sr 0.694 0.000 0.000
Al 0.000 0.000 0.500

(7)
A plane-wave DFT calculation with PBE was carried out for PrEuPd2 after structural relaxation.

Computed properties:
Formation energy from the elements, meV/atom: -709
Crystal system: tetragonal

abc: 3.650 3.650 7.286
angles: 90.00 90.00 90.00
Atoms (fractional coordinates):
Pr 0.000 0.000 0.000
Eu 0.000 0.000 0.500
Pd 0.500 0.500 0.234
Pd 0.500 0.500 0.766

(8)
A plane-wave DFT calculation with PBE was carried out for Pr2DyV after structural relaxation.

Computed properties:
Formation energy from the elements, meV/atom: 640
Crystal system: trigonal
- - -

  1. hawkhead says:

    George Carlin once said that he called people what they wanted to be called.

    If he met a woman of Italian descent who was wheelchair-bound and a lesbian, he would call that woman a differently-abled person of Southern European descent with a same-sex gender preference, if that’s what she wanted.

    But, if she asked, he’d also have no problem calling her a crippled guinea bull dyke.

  2. Well, far be it for me to disagree with Saint George Carlin! He was, as usual, absolutely right.

    And if the mentally disabled want to be called “differently-abled,” I suppose I can live with that. (I do, however find handicapable to just be absurd). But, the differently abled don’t have any right to dictate what I may call K-Fed.

  3. Atticus says:

    Great post.

    The PC thing has gotten out of hand. Nobody should insist that words that were not offensive suddenly are, or that those words should be replaced with verbose and cumbersome alternatives.

    If people want to be called black, Asian, or Latino, so be it. Those are great, descriptive words. Developmentally disabled and differently-abled are pushing it. African American is just too much–the term is not only a seven-syllable monstrosity, but it’s literally inaccurate. I’m glad it’s been largely retired.

    • Sure, but you must admit that to be “nice,” we ought to accept a tiny bit of PC — at the very least, call people what they want to be called (within SOME reason), as preached by St. George Carlin, peace be upon him.

  4. shg says:

    I just got off the phone with a friend of mine who’s blind, and we were talking about another blind guy who says he’s visually challenged. We were laughing, because we couldn’t figure out if that was supposed to mean he’s blind or that he only saw what he wanted to see.

    The gist was that some words have meaning and are well-understood, while others, often euphemisms, are so convoluted or vague, or worse (differently-abled) as to convey inaccurate meaning or no meaning at all. My buddy told me that he likes to use the word blind because that way even idiots will know what he’s talking about. And to a blind guy, most people look like idiots.

  5. Windypundit says:

    This is why I like the word “fucktard”. Whereas “retard” still has lingering associations with an unfortunate mental impairment, the word “fucktard” pretty clearly describes a lifestyle choice.

  6. anon says:

    The more interesting thing is what black people have called white people. First it was “sir,” “ma’am” or “master.” Then, after Emancipation, it was “whitey.” Over time it just became, “White.” But now, while most White people are still referred to as “White,” “Best Friend,” “Mom,” “Dad” or “Honey,” in referring to white people like you, it’s just, “Useless.”

  7. Ken says:

    That’s so gay.

  8. […] the Legal Satyricon has an interesting post on the nature of the word “retard”. The same goes for the “developmentally disabled.” As long as it doesn’t get Orwellian […]

  9. […] Good god… you mean… McDonalds, the big multinational corporation, hates retarded children? (Yeah, I said “retarded“). […]

  10. Halcyon 1L says:

    I think you’re a douche if you use the word “retard” or variants as a pejorative. I don’t think there should be a law about it, but I don’t think there should be a law about the word “nigger” or “kike” and the like either. People with disabilities are one of the most vulnerable populations out there. It’s nice that you’re supposedly so sensitive because of your childhood friends. If you had a sibling, as I do, if you got in fights with much larger kids while growing up over “short bus” jokes and the like, if you saw firsthand how someone you cared deeply for was readily disregarded as irrelevant, you might see things differently. Or maybe not.

    • Fair enough. I disagree. I am not insensitive to the challenges that the mentally disabled, but I respect your position. I would respect it a lot more if it appeared that you had actually read the piece … you know, then commented. Just running off to comment, without reading it, is retarded.

  11. […] Politics This dispute is, well, retarded. If you have a problem with the word “retarded”, take it to the Legal Satyricon. […]

  12. […]  Marc has previously addressed this issue, noting how much this Orwellian “Newspeak” offends his sense of free expression.  Indeed, this form of forced censorship only reinforces not only the word’s negative […]

  13. […] you see why we are on a campaign to save, among other words, “nigger” and “retard“. […]

  14. I couldn’t agree more. I would add that it is the intention behind the word and not the word itself that makes a word offensive. Telling someone to not use it would only further stigmatize it. In literal context being called “Disabled” can even be more offensive than “Retarded” since “Disabled” implies one cannot do something while “Retarded” implies only that one is slow and says nothing for actual ability.